Democrats held their own Muslim senate hearing to counter the hearing last month in the House on Islamic radicalism. Senator Dick “Pol Pot” Durbin (D-IL) and fellow democrats wanted to examine Muslims’ civil rights in the US.
Unfortunately, it was just a political stunt.
If Democrats really cared about addressing hate crime in the United States they would have held a hearing on violence against Jews. There were 10 times more attacks against Jews in the US than against Muslims in the last year that data was reported.
Synagogues in Seattle, Washington was vandalized in 2009. (Vos Iz Neias)
The reality is that hate crimes against Muslims remain low in the United States.
McClatchy reported in August that more hate crimes were committed against white males than Muslims. And, there were ten times as many hate crimes reported against Jews than Muslims in the latest report.
But, who needs facts when you’re trying to score political points?
The Politico reported, via Free Republic:
What comes next are calculated molecules, not part of the text
/*
Here is a molecular structure, C25H46Cl2N3O5SiV from the Open Molecules 2025 dataset. Energies are from ωB97M-V/def2-TZVPD.

**<S²>**: 2.15
**Energy above the lowest of the compared OMol25 structures with the same formula, charge and spin**: 187.8 kcal/mol
**Spin multiplicity**: 3
**Orbital gap (spin up / spin down)**: 4.06 / 3.94 eV

Element x y z (Å)
V  0.598  0.163  1.113
Cl  2.643  1.588  1.007
Cl  -0.730  -2.190  -3.175
Si  -1.622  -0.444  -2.558
O  1.136  -0.184  -0.757
O  0.534  0.032  3.177
O  1.809  2.889  3.221
O  -0.891  -1.600  1.675
O  -0.907  1.586  1.176
N  -1.366  -3.696  2.378
N  -1.792  3.699  1.287
N  -0.787  0.351  5.035
C  3.435  1.087  3.643
C  -1.360  -4.145  0.996
C  1.761  2.566  -4.835
C  -3.103  3.222  0.832
C  -2.004  0.802  4.342
C  -1.421  5.083  1.078
C  2.370  -1.582  -2.430
C  0.942  2.041  -5.839
C  0.386  0.124  4.437
C  -1.481  -4.725  3.404
C  1.832  -0.221  -2.045
C  0.854  -0.001  -4.561
C  -2.592  -0.326  -4.098
C  2.076  1.829  -3.674
C  2.654  -1.922  -3.710
C  0.536  0.728  -5.717
C  2.845  -2.500  -1.347
C  -0.868  1.465  -2.382
C  1.487  0.565  -3.440
C  3.098  -3.265  -4.158
C  -0.757  2.826  1.322
C  -1.124  -2.402  2.603
C  2.570  2.029  2.865
C  -2.201  -0.763  -0.821
C  -0.797  0.335  6.487
H  3.525  1.500  4.665
H  -1.384  -1.224  -0.281
H  -3.021  -1.491  -0.729
H  -2.193  0.203  3.449
H  -3.748  4.103  0.690
H  -1.520  -5.225  1.000
H  -0.012  1.610  -1.644
H  -0.439  1.888  -3.312
H  -2.729  0.715  -4.351
H  -0.411  -3.936  0.497
H  -2.057  -0.859  -4.901
H  0.029  0.214  -6.547
H  2.924  -3.437  -5.225
H  -2.842  0.670  5.028
H  1.265  -0.003  5.102
H  0.582  -1.059  -4.586
H  2.902  0.117  3.661
H  2.732  2.234  -2.892
H  -2.463  0.144  -0.299
H  2.506  -2.169  -0.351
H  2.717  0.337  -1.712
H  -0.886  5.178  0.127
H  -1.946  1.857  4.037
H  0.003  -0.335  6.807
H  -3.537  2.524  1.561
H  -1.754  -0.040  6.841
H  2.412  -3.504  -1.519
H  -0.493  -4.970  3.831
H  0.260  3.300  1.453
H  -2.155  -4.436  4.224
H  -1.629  2.187  -2.021
H  -0.759  5.433  1.872
H  4.454  0.982  3.196
H  -2.287  5.723  1.076
H  2.245  3.538  -4.969
H  2.707  -1.187  -4.535
H  0.720  2.608  -6.744
H  4.177  -3.351  -3.998
H  -2.177  -3.698  0.423
H  3.953  -2.553  -1.394
H  -1.133  -2.094  3.669
H  -0.615  1.338  6.898
H  -3.496  -0.860  -3.794
H  -1.830  -5.639  2.915
H  -2.972  2.700  -0.122
H  2.612  -4.081  -3.630
*/
Here the text continues
Senate Majority Whip Dick Durbin said it wasn’t a response to Republican Rep. Peter King’s hearings this month on post-9/11 Islamic radicalization and terrorism — but it sure felt like it.
The Illinois Democrat’s hearing Tuesday on anti-Muslim bigotry – the first congressional hearing of its kind – was an opportunity for Democrats to present Muslim Americans in a different light: as a people facing growing discrimination and intolerance.
Durbin noted that King previously stated there are too many mosques in the country. And he pointed to comments by former House Speaker Newt Gingrich, a possible GOP presidential candidate, that the country is “experiencing an Islamist cultural-political offensive designed to undermine and destroy our civilization.”
“Some have even questioned the premise of today’s hearing: that we should protect the civil rights of American Muslims,” Durbin, the No. 2 Democrat in the Senate, said in his opening remarks. “Such inflammatory speech from prominent public figures creates a fertile climate for discrimination. So it’s not surprising that the Anti-Defamation League says we face an intensified level of anti-Muslim bigotry.’”Three weeks after King’s House Homeland Security Committee hearing, a new Senate Judiciary Committee panel heard testimony from Muslim civil rights leaders and past and present Justice Department officials. Since the Sept. 11 terrorist attacks, the department has investigated more than 800 possible hate crimes against people perceived to be Muslim or Arab.
It was not clear from the report if far left Rep. Keith Ellison (D-MN) went on a sobbing jag about some bogus story of Islamic abuse or not.